It remains to find the line further down that holds "0.3028 0.1514", then restate that line and all lines after it there.

/*
(1)
Starting from a cell relaxed with PBE, the XRD peak list of Ba6Ru2PtCl2O12 was calculated for Cu Kα X-rays.
Neutral-atom scattering factors, no anomalous dispersion.

Structure:
a b c (Å): 5.9066 5.9066 15.2918
angles (deg): 90.00 90.00 120.00
Fractional coordinates of all 23 atoms:
Ba 0.3333 0.6667 0.0834
Ba 0.3333 0.6667 0.3655
Ba 0.3333 0.6667 0.7856
Ba 0.6667 0.3333 0.2144
Ba 0.6667 0.3333 0.6345
Ba 0.6667 0.3333 0.9166
Ru 0.0000 0.0000 0.1824
Ru 0.0000 0.0000 0.8176
Pt 0.0000 0.0000 0.0000
Cl 0.3333 0.6667 0.5772
Cl 0.6667 0.3333 0.4228
O 0.1514 0.3028 0.9128
O 0.1514 0.8486 0.9128
O 0.1613 0.3225 0.2436
O 0.1613 0.8387 0.2436
O 0.3028 0.1514 0.0872
O 0.3225 0.1613 0.7564
O 0.6775 0.8387 0.2436
O 0.6972 0.8486 0.9128
O 0.8387 0.1613 0.7564
O 0.8387 0.6775 0.7564
O 0.8486 0.1514 0.0872
O 0.8486 0.6972 0.0872

Main lines, by angle (2θ from 15° to 90°):
2θ = 18.3°, I = 39; 2θ = 24.7°, I = 42; 2θ = 29.2°, I = 52; 2θ = 30.3°, I = 100; 2θ = 39.4°, I = 43; 2θ = 42.5°, I = 39; 2θ = 50.5°, I = 23; 2θ = 53.1°, I = 17; 2θ = 53.8°, I = 20; 2θ = 62.9°, I = 17

(2)
Starting from a cell relaxed with PBE, the XRD peak list of Ge2BiBr8 was calculated for Cu Kα X-rays.
Neutral-atom scattering factors, no anomalous dispersion.

Structure:
a b c (Å): 8.3854 8.3854 8.1565
angles (deg): 90.00 90.00 120.00
Fractional coordinates of all 11 atoms:
Ge 0.3333 0.6667 0.2030
Ge 0.6667 0.3333 0.7970
Bi 0.0000 0.0000 0.5000
Br 0.1623 0.3246 0.2954
Br 0.1623 0.8377 0.2954
Br 0.3246 0.1623 0.7046
Br 0.3333 0.6667 0.9124
Br 0.6667 0.3333 0.0876
Br 0.6754 0.8377 0.2954
Br 0.8377 0.1623 0.7046
Br 0.8377 0.6754 0.7046

Main lines, by angle (2θ from 15° to 90°):
2θ = 16.3°, I = 100; 2θ = 21.2°, I = 25; 2θ = 26.9°, I = 41; 2θ = 30.6°, I = 14; 2θ = 33.0°, I = 29; 2θ = 34.5°, I = 32; 2θ = 39.5°, I = 26; 2θ = 43.2°, I = 31; 2θ = 46.4°, I = 14; 2θ = 51.4°, I = 15

(3)
Starting from a cell relaxed with PBE, the XRD peak list of CaY8Er6 was calculated for Cu Kα X-rays.
Neutral-atom scattering factors, no anomalous dispersion.

Structure:
a b c (Å): 9.4970 9.4970 6.5138
angles (deg): 90.00 90.00 120.00
Fractional coordinates of all 15 atoms:
Ca 0.0000 0.0000 0.0000
Y 0.0232 0.6862 0.5959
Y 0.3138 0.3371 0.5959
Y 0.3333 0.6667 0.3393
Y 0.3371 0.0232 0.4041
Y 0.6629 0.9768 0.5959
Y 0.6667 0.3333 0.6607
Y 0.6862 0.6629 0.4041
Y 0.9768 0.3138 0.4041
Er 0.1051 0.4281 0.9063
Er 0.3230 0.8949 0.9063
Er 0.4281 0.3230 0.0937
Er 0.5719 0.6770 0.9063
Er 0.6770 0.1051 0.0937
Er 0.8949 0.5719 0.0937

Main lines, by angle (2θ from 15° to 90°):
2θ = 25.6°, I = 25; 2θ = 28.7°, I = 35; 2θ = 29.5°, I = 20; 2θ = 31.9°, I = 100; 2θ = 32.7°, I = 30; 2θ = 33.4°, I = 76; 2θ = 40.1°, I = 15; 2θ = 50.3°, I = 17; 2θ = 52.9°, I = 17; 2θ = 60.1°, I = 20

(4)
Starting from a cell relaxed with PBE, the XRD peak list of Ag2AuO3 was calculated for Cu Kα X-rays.
Neutral-atom scattering factors, no anomalous dispersion.

Structure:
a b c (Å): 5.7470 5.7470 5.8957
angles (deg): 90.00 90.00 120.00
Fractional coordinates of all 12 atoms:
Ag 0.3333 0.6667 0.0000
Ag 0.3333 0.6667 0.5000
Ag 0.6667 0.3333 0.0000
Ag 0.6667 0.3333 0.5000
Au 0.0000 0.0000 0.2500
Au 0.0000 0.0000 0.7500
O 0.0000 0.3734 0.2500
O 0.0000 0.6266 0.7500
O 0.3734 0.0000 0.2500
O 0.3734 0.3734 0.7500
O 0.6266 0.0000 0.7500
O 0.6266 0.6266 0.2500

Main lines, by angle (2θ from 15° to 90°):
2θ = 17.8°, I = 13; 2θ = 31.1°, I = 100; 2θ = 35.4°, I = 83; 2θ = 47.8°, I = 40; 2θ = 55.4°, I = 25; 2θ = 58.2°, I = 41; 2θ = 64.9°, I = 12; 2θ = 72.0°, I = 18; 2θ = 76.1°, I = 17; 2θ = 88.8°, I = 13

(5)
Starting from a cell relaxed with PBE, the XRD peak list of TaSiPb2 was calculated for Cu Kα X-rays.
Neutral-atom scattering factors, no anomalous dispersion.

Structure:
a b c (Å): 3.3720 3.4895 8.2230
angles (deg): 90.00 90.00 90.00
Fractional coordinates of all 4 atoms:
Ta 0.0000 0.0000 0.0000
Si 0.5000 0.5000 0.8939
Pb 0.0000 0.0000 0.6227
Pb 0.5000 0.5000 0.2647

Main lines, by angle (2θ from 15° to 90°):
*/

O 0.3028 0.1514 0.0872
O 0.3225 0.1613 0.7564
O 0.6775 0.8387 0.2436
O 0.6972 0.8486 0.9128
O 0.8387 0.1613 0.7564
O 0.8387 0.6775 0.7564
O 0.8486 0.1514 0.0872
O 0.8486 0.6972 0.0872

Main lines, by angle (2θ from 15° to 90°):
2θ = 18.3°, I = 39; 2θ = 24.7°, I = 42; 2θ = 29.2°, I = 52; 2θ = 30.3°, I = 100; 2θ = 39.4°, I = 43; 2θ = 42.5°, I = 39; 2θ = 50.5°, I = 23; 2θ = 53.1°, I = 17; 2θ = 53.8°, I = 20; 2θ = 62.9°, I = 17

(2)
Starting from a cell relaxed with PBE, the XRD peak list of Ge2BiBr8 was calculated for Cu Kα X-rays.
Neutral-atom scattering factors, no anomalous dispersion.

Structure:
a b c (Å): 8.3854 8.3854 8.1565
angles (deg): 90.00 90.00 120.00
Fractional coordinates of all 11 atoms:
Ge 0.3333 0.6667 0.2030
Ge 0.6667 0.3333 0.7970
Bi 0.0000 0.0000 0.5000
Br 0.1623 0.3246 0.2954
Br 0.1623 0.8377 0.2954
Br 0.3246 0.1623 0.7046
Br 0.3333 0.6667 0.9124
Br 0.6667 0.3333 0.0876
Br 0.6754 0.8377 0.2954
Br 0.8377 0.1623 0.7046
Br 0.8377 0.6754 0.7046

Main lines, by angle (2θ from 15° to 90°):
2θ = 16.3°, I = 100; 2θ = 21.2°, I = 25; 2θ = 26.9°, I = 41; 2θ = 30.6°, I = 14; 2θ = 33.0°, I = 29; 2θ = 34.5°, I = 32; 2θ = 39.5°, I = 26; 2θ = 43.2°, I = 31; 2θ = 46.4°, I = 14; 2θ = 51.4°, I = 15

(3)
Starting from a cell relaxed with PBE, the XRD peak list of CaY8Er6 was calculated for Cu Kα X-rays.
Neutral-atom scattering factors, no anomalous dispersion.

Structure:
a b c (Å): 9.4970 9.4970 6.5138
angles (deg): 90.00 90.00 120.00
Fractional coordinates of all 15 atoms:
Ca 0.0000 0.0000 0.0000
Y 0.0232 0.6862 0.5959
Y 0.3138 0.3371 0.5959
Y 0.3333 0.6667 0.3393
Y 0.3371 0.0232 0.4041
Y 0.6629 0.9768 0.5959
Y 0.6667 0.3333 0.6607
Y 0.6862 0.6629 0.4041
Y 0.9768 0.3138 0.4041
Er 0.1051 0.4281 0.9063
Er 0.3230 0.8949 0.9063
Er 0.4281 0.3230 0.0937
Er 0.5719 0.6770 0.9063
Er 0.6770 0.1051 0.0937
Er 0.8949 0.5719 0.0937

Main lines, by angle (2θ from 15° to 90°):
2θ = 25.6°, I = 25; 2θ = 28.7°, I = 35; 2θ = 29.5°, I = 20; 2θ = 31.9°, I = 100; 2θ = 32.7°, I = 30; 2θ = 33.4°, I = 76; 2θ = 40.1°, I = 15; 2θ = 50.3°, I = 17; 2θ = 52.9°, I = 17; 2θ = 60.1°, I = 20

(4)
Starting from a cell relaxed with PBE, the XRD peak list of Ag2AuO3 was calculated for Cu Kα X-rays.
Neutral-atom scattering factors, no anomalous dispersion.

Structure:
a b c (Å): 5.7470 5.7470 5.8957
angles (deg): 90.00 90.00 120.00
Fractional coordinates of all 12 atoms:
Ag 0.3333 0.6667 0.0000
Ag 0.3333 0.6667 0.5000
Ag 0.6667 0.3333 0.0000
Ag 0.6667 0.3333 0.5000
Au 0.0000 0.0000 0.2500
Au 0.0000 0.0000 0.7500
O 0.0000 0.3734 0.2500
O 0.0000 0.6266 0.7500
O 0.3734 0.0000 0.2500
O 0.3734 0.3734 0.7500
O 0.6266 0.0000 0.7500
O 0.6266 0.6266 0.2500

Main lines, by angle (2θ from 15° to 90°):
2θ = 17.8°, I = 13; 2θ = 31.1°, I = 100; 2θ = 35.4°, I = 83; 2θ = 47.8°, I = 40; 2θ = 55.4°, I = 25; 2θ = 58.2°, I = 41; 2θ = 64.9°, I = 12; 2θ = 72.0°, I = 18; 2θ = 76.1°, I = 17; 2θ = 88.8°, I = 13

(5)
Starting from a cell relaxed with PBE, the XRD peak list of TaSiPb2 was calculated for Cu Kα X-rays.
Neutral-atom scattering factors, no anomalous dispersion.

Structure:
a b c (Å): 3.3720 3.4895 8.2230
angles (deg): 90.00 90.00 90.00
Fractional coordinates of all 4 atoms:
Ta 0.0000 0.0000 0.0000
Si 0.5000 0.5000 0.8939
Pb 0.0000 0.0000 0.6227
Pb 0.5000 0.5000 0.2647

Main lines, by angle (2θ from 15° to 90°):